## What to do
Your job: filter the notes underneath: keep the lines with the word "Structure".
## Contents
<<<
TbNi6B2: calculated X-ray diffraction stick pattern (λ = 1.5418 Å (Cu Kα)), based on the GGA-PBE geometry in Alexandria.

Most intense lines, 2θ = 15–90°, in order of rising 2θ:
two_theta	I/Imax
30.2	577
36.7	1000
40.1	628
48.2	271
52.8	576
59.6	135
62.1	97
66.0	118
74.3	266
80.1	179
83.7	86
89.4	103

Structure:
Lattice parameters (Å, degrees): 6.933 6.933 6.933 60.00 60.00 60.00
Fractional coordinates of all 18 atoms:
Tb  0.125  0.125  0.125
Tb  0.875  0.875  0.875
Ni  0.167  0.167  0.583
Ni  0.167  0.583  0.167
Ni  0.167  0.583  0.583
Ni  0.417  0.417  0.833
Ni  0.417  0.833  0.417
Ni  0.417  0.833  0.833
Ni  0.583  0.167  0.167
Ni  0.583  0.167  0.583
Ni  0.583  0.583  0.167
Ni  0.833  0.417  0.417
Ni  0.833  0.417  0.833
Ni  0.833  0.833  0.417
B  0.000  0.500  0.500
B  0.500  0.000  0.500
B  0.500  0.500  0.000
B  0.500  0.500  0.500

***

Tb2NiB10: calculated X-ray diffraction stick pattern (λ = 1.5418 Å (Cu Kα)), based on the GGA-PBE geometry in Alexandria.

Most intense lines, 2θ = 15–90°, in order of rising 2θ:
two_theta	I/Imax
21.4	304
22.6	700
28.0	280
29.0	153
31.4	1000
32.2	255
39.0	771
39.8	210
43.6	188
46.2	173
49.7	279
60.1	159

Structure:
Lattice parameters (Å, degrees): 5.565 11.097 4.149 90.00 90.00 90.00
Fractional coordinates of all 26 atoms:
Tb  0.187  0.137  0.000
Tb  0.313  0.637  0.000
Tb  0.687  0.363  0.000
Tb  0.813  0.863  0.000
Ni  0.000  0.500  0.500
Ni  0.500  0.000  0.500
B  0.031  0.313  0.500
B  0.126  0.959  0.500
B  0.158  0.802  0.500
B  0.201  0.386  0.199
B  0.201  0.386  0.801
B  0.299  0.886  0.199
B  0.299  0.886  0.801
B  0.342  0.302  0.500
B  0.374  0.459  0.500
B  0.469  0.813  0.500
B  0.531  0.187  0.500
B  0.626  0.541  0.500
B  0.658  0.698  0.500
B  0.701  0.114  0.199
B  0.701  0.114  0.801
B  0.799  0.614  0.199
B  0.799  0.614  0.801
B  0.842  0.198  0.500
B  0.874  0.041  0.500
B  0.969  0.687  0.500

***

TbNi12B6: calculated X-ray diffraction stick pattern (λ = 1.5418 Å (Cu Kα)), based on the GGA-PBE geometry in Alexandria.

Most intense lines, 2θ = 15–90°, in order of rising 2θ:
two_theta	I/Imax
31.7	594
32.6	273
34.5	185
34.8	476
39.4	682
41.2	737
41.4	1000
44.0	419
45.3	176
49.8	296
58.1	250
61.4	273

Structure:
Lattice parameters (Å, degrees): 6.036 6.036 10.986 90.00 90.00 75.20
Fractional coordinates of all 38 atoms:
Tb  0.167  0.833  0.500
Tb  0.833  0.167  0.000
Ni  0.003  0.632  0.059
Ni  0.118  0.145  0.241
Ni  0.145  0.118  0.741
Ni  0.194  0.544  0.263
Ni  0.212  0.526  0.720
Ni  0.217  0.783  0.897
Ni  0.271  0.342  0.929
Ni  0.342  0.271  0.429
Ni  0.368  0.997  0.059
Ni  0.433  0.567  0.079
Ni  0.456  0.806  0.263
Ni  0.474  0.788  0.720
Ni  0.526  0.212  0.220
Ni  0.544  0.194  0.763
Ni  0.567  0.433  0.579
Ni  0.632  0.003  0.559
Ni  0.658  0.729  0.929
Ni  0.729  0.658  0.429
Ni  0.783  0.217  0.397
Ni  0.788  0.474  0.220
Ni  0.806  0.456  0.763
Ni  0.855  0.882  0.241
Ni  0.882  0.855  0.741
Ni  0.997  0.368  0.559
B  0.013  0.400  0.374
B  0.163  0.837  0.158
B  0.242  0.327  0.112
B  0.327  0.242  0.612
B  0.400  0.013  0.874
B  0.487  0.513  0.841
B  0.513  0.487  0.341
B  0.600  0.987  0.374
B  0.673  0.758  0.112
B  0.758  0.673  0.612
B  0.837  0.163  0.658
B  0.987  0.600  0.874

***

TbNiB4: calculated X-ray diffraction stick pattern (λ = 1.5418 Å (Cu Kα)), based on the GGA-PBE geometry in Alexandria.

Most intense lines, 2θ = 15–90°, in order of rising 2θ:
two_theta	I/Imax
23.5	747
28.4	212
31.6	842
33.5	199
33.7	284
39.8	1000
48.2	330
54.3	197
58.8	261
70.5	199
71.3	235
84.1	194

Structure:
Lattice parameters (Å, degrees): 6.836 6.836 6.836 112.89 112.89 102.83
Fractional coordinates of all 24 atoms:
Tb  0.204  0.204  0.000
Tb  0.250  0.750  0.500
Tb  0.750  0.250  0.500
Tb  0.796  0.796  0.000
Ni  0.271  0.500  0.771
Ni  0.500  0.271  0.771
Ni  0.500  0.729  0.229
Ni  0.729  0.500  0.229
B  0.111  0.276  0.387
B  0.111  0.724  0.836
B  0.114  0.114  0.532
B  0.114  0.581  0.000
B  0.276  0.111  0.387
B  0.276  0.889  0.164
>>>
## Solution
Structure:
Structure:
Structure:
Structure: